-- To do --
Set down everything further down exactly.

-- Data --
-- begin --
No. 1
{"formula": "H27O13", "method": "ωB97M-V/def2-TZVPD", "symbols": ["O", "H", "H", "O", "H", "H", "O", "H", "O", "H", "H", "O", "H", "H", "O", "H", "H", "O", "H", "H", "O", "H", "H", "O", "H", "H", "O", "H", "H", "O", "H", "H", "O", "H", "H", "O", "H", "H", "H", "H"], "coordinates": [[0.683, -1.848, -2.834], [2.936, -0.157, 1.663], [-0.762, 0.603, -0.874], [-4.059, 0.166, -1.583], [-3.733, 0.087, -2.491], [-1.256, 0.079, 1.244], [0.185, -4.151, -0.746], [4.240, -1.048, 0.535], [-0.784, -0.332, 2.034], [2.052, -3.761, -0.275], [-1.126, 0.355, 2.677], [2.940, -3.380, -0.438], [0.784, -2.749, -2.515], [0.718, -0.161, -1.012], [-1.727, 2.022, 3.005], [-2.216, 2.481, 3.705], [-0.898, 2.457, 2.784], [-0.506, 2.547, -2.479], [-0.242, 3.209, -1.838], [0.181, 2.119, -2.990], [3.957, -0.225, 0.125], [4.286, 0.581, 0.538], [2.888, -3.124, -1.367], [1.841, 2.853, 1.354], [1.306, 2.667, 0.580], [2.502, 3.540, 1.407], [-2.401, -1.018, 0.008], [-2.320, -0.505, -0.790], [-3.289, -1.113, 0.356], [2.271, 0.332, 2.194], [2.312, 1.215, 1.753], [-0.221, -1.726, -3.130], [-2.218, 2.372, -0.119], [0.005, -3.501, -0.054], [-2.027, 2.911, 0.656], [-0.031, 0.120, -0.478], [0.192, -0.114, 1.937], [-4.122, 1.094, -1.336], [-2.683, 2.926, -0.753], [-0.611, -4.140, -1.291]], "homo_energy_ha": -0.4945, "de_lowest_kcal_mol": 51.82, "multiplicity": 1, "max_force_ev_per_a": 2.4, "total_charge": 1}

***

No. 2
{"formula": "H27O14", "method": "ωB97M-V/def2-TZVPD", "symbols": ["O", "H", "O", "H", "H", "O", "H", "H", "O", "H", "H", "O", "H", "H", "O", "H", "H", "O", "H", "H", "O", "H", "H", "O", "H", "H", "O", "H", "H", "O", "H", "H", "O", "H", "H", "O", "H", "H", "O", "H", "H"], "coordinates": [[-2.842, 1.871, -1.359], [-1.897, 1.712, -1.332], [2.276, -3.033, -3.438], [-0.050, 2.486, 2.335], [2.122, 1.218, 4.135], [1.075, 1.864, -1.944], [2.238, -0.201, 3.629], [-3.243, 2.086, 0.732], [-3.724, 2.308, 1.539], [0.058, -0.067, -1.318], [-3.478, 1.583, 2.127], [0.425, -0.636, 0.932], [-1.294, -0.695, 0.792], [2.608, -3.828, -3.021], [0.831, -2.588, -0.622], [1.118, -2.369, -1.511], [0.563, -1.734, -0.112], [-0.020, 1.559, 2.544], [-1.672, -3.306, -0.080], [-0.716, 1.015, 2.157], [2.388, 0.337, 4.409], [1.453, 1.456, -1.133], [1.006, -0.644, 1.689], [-1.942, 4.580, -0.193], [-1.696, 4.218, 0.656], [1.627, 1.525, -2.653], [4.094, -2.474, -1.378], [3.812, -2.927, -0.611], [3.352, -2.015, -1.750], [2.262, 0.987, 0.348], [1.394, 0.440, 0.611], [2.067, 1.890, 0.602], [-2.125, -0.867, 1.290], [-2.602, -1.532, 0.774], [-3.376, 1.132, -1.057], [-2.637, -3.247, -0.044], [-1.986, 3.944, -0.899], [-2.906, -3.781, 0.702], [-0.403, -0.354, -2.120], [2.866, -2.293, -3.346], [-1.025, 0.380, -2.081]], "homo_energy_ha": -0.2348, "de_lowest_kcal_mol": 61.66, "multiplicity": 1, "max_force_ev_per_a": 2.1, "total_charge": -1}

***

No. 3
-- stop --

-- Here it is --
No. 1
{"formula": "H27O13", "method": "ωB97M-V/def2-TZVPD", "symbols": ["O", "H", "H", "O", "H", "H", "O", "H", "O", "H", "H", "O", "H", "H", "O", "H", "H", "O", "H", "H", "O", "H", "H", "O", "H", "H", "O", "H", "H", "O", "H", "H", "O", "H", "H", "O", "H", "H", "H", "H"], "coordinates": [[0.683, -1.848, -2.834], [2.936, -0.157, 1.663], [-0.762, 0.603, -0.874], [-4.059, 0.166, -1.583], [-3.733, 0.087, -2.491], [-1.256, 0.079, 1.244], [0.185, -4.151, -0.746], [4.240, -1.048, 0.535], [-0.784, -0.332, 2.034], [2.052, -3.761, -0.275], [-1.126, 0.355, 2.677], [2.940, -3.380, -0.438], [0.784, -2.749, -2.515], [0.718, -0.161, -1.012], [-1.727, 2.022, 3.005], [-2.216, 2.481, 3.705], [-0.898, 2.457, 2.784], [-0.506, 2.547, -2.479], [-0.242, 3.209, -1.838], [0.181, 2.119, -2.990], [3.957, -0.225, 0.125], [4.286, 0.581, 0.538], [2.888, -3.124, -1.367], [1.841, 2.853, 1.354], [1.306, 2.667, 0.580], [2.502, 3.540, 1.407], [-2.401, -1.018, 0.008], [-2.320, -0.505, -0.790], [-3.289, -1.113, 0.356], [2.271, 0.332, 2.194], [2.312, 1.215, 1.753], [-0.221, -1.726, -3.130], [-2.218, 2.372, -0.119], [0.005, -3.501, -0.054], [-2.027, 2.911, 0.656], [-0.031, 0.120, -0.478], [0.192, -0.114, 1.937], [-4.122, 1.094, -1.336], [-2.683, 2.926, -0.753], [-0.611, -4.140, -1.291]], "homo_energy_ha": -0.4945, "de_lowest_kcal_mol": 51.82, "multiplicity": 1, "max_force_ev_per_a": 2.4, "total_charge": 1}

***

No. 2
{"formula": "H27O14", "method": "ωB97M-V/def2-TZVPD", "symbols": ["O", "H", "O", "H", "H", "O", "H", "H", "O", "H", "H", "O", "H", "H", "O", "H", "H", "O", "H", "H", "O", "H", "H", "O", "H", "H", "O", "H", "H", "O", "H", "H", "O", "H", "H", "O", "H", "H", "O", "H", "H"], "coordinates": [[-2.842, 1.871, -1.359], [-1.897, 1.712, -1.332], [2.276, -3.033, -3.438], [-0.050, 2.486, 2.335], [2.122, 1.218, 4.135], [1.075, 1.864, -1.944], [2.238, -0.201, 3.629], [-3.243, 2.086, 0.732], [-3.724, 2.308, 1.539], [0.058, -0.067, -1.318], [-3.478, 1.583, 2.127], [0.425, -0.636, 0.932], [-1.294, -0.695, 0.792], [2.608, -3.828, -3.021], [0.831, -2.588, -0.622], [1.118, -2.369, -1.511], [0.563, -1.734, -0.112], [-0.020, 1.559, 2.544], [-1.672, -3.306, -0.080], [-0.716, 1.015, 2.157], [2.388, 0.337, 4.409], [1.453, 1.456, -1.133], [1.006, -0.644, 1.689], [-1.942, 4.580, -0.193], [-1.696, 4.218, 0.656], [1.627, 1.525, -2.653], [4.094, -2.474, -1.378], [3.812, -2.927, -0.611], [3.352, -2.015, -1.750], [2.262, 0.987, 0.348], [1.394, 0.440, 0.611], [2.067, 1.890, 0.602], [-2.125, -0.867, 1.290], [-2.602, -1.532, 0.774], [-3.376, 1.132, -1.057], [-2.637, -3.247, -0.044], [-1.986, 3.944, -0.899], [-2.906, -3.781, 0.702], [-0.403, -0.354, -2.120], [2.866, -2.293, -3.346], [-1.025, 0.380, -2.081]], "homo_energy_ha": -0.2348, "de_lowest_kcal_mol": 61.66, "multiplicity": 1, "max_force_ev_per_a": 2.1, "total_charge": -1}

***

No. 3